-- To do --
What is needed: repeat everything further down character by character.
-- Contents --
- - -
Material: Pu5ThRh6
Method: DFT, PBE
State: relaxed

```
12
Lattice="4.6574 0.0158 -1.3604 -0.9473 6.0960 -3.1743 -0.0696 0.4441 8.4515" Properties=species:S:1:pos:R:3 pbc="T T T"
Rh 2.0967 1.5018 -1.4572
Rh 3.2785 3.8715 2.6300
Pu -0.4737 3.0480 -1.5872
Pu 0.6960 5.3392 2.4609
Rh 0.3619 2.6844 1.2867
Pu 2.9444 1.2167 1.4558
Rh 1.5437 5.0541 5.3740
Pu 1.2022 2.3545 4.1601
Rh 3.7562 0.7971 4.2306
Rh -0.1158 5.7588 -0.3139
Th 0.0000 0.0000 0.0000
Pu 2.4382 4.2014 -0.2433
```

volume: 20.553 A^3/atom
SG: C2/m (12)
energy of formation: -0.481 eV per atom
crystal system: monoclinic

Material: PuThRh
Method: DFT, PBE
State: relaxed

```
12
Lattice="3.7716 0.0000 0.0000 0.0000 5.6346 0.0000 0.0000 0.0000 12.9376" Properties=species:S:1:pos:R:3 pbc="T T T"
Rh 0.9429 1.2472 3.2114
Pu 2.8287 0.0965 7.1545
Rh 2.8287 1.5701 9.6802
Pu 0.9429 2.7208 0.6857
Rh 2.8287 4.3874 9.7262
Th 2.8287 5.4550 1.6736
Th 0.9429 0.1796 11.2640
Pu 0.9429 5.5380 5.7831
Pu 2.8287 2.9138 12.2519
Th 2.8287 2.6377 4.7952
Th 0.9429 2.9969 8.1424
Rh 0.9429 4.0645 3.2574
```

volume: 22.912 A^3/atom
relative energy among the computed polymorphs: 0.116 eV per formula unit
SG: Pnma (62)
energy of formation: -0.326 eV per atom
crystal system: orthorhombic

Material: Pu6ThRh5
Method: DFT, PBE
State: relaxed

```
12
Lattice="5.5745 0.4591 -0.4133 0.4595 5.9377 -0.7634 -0.0080 -0.9340 7.8069" Properties=species:S:1:pos:R:3 pbc="T T T"
Pu 1.6726 1.1877 2.7003
Pu 2.7855 0.8723 7.2916
Pu 1.4613 4.0289 2.0559
Pu 3.2405 4.5905 -0.6614
Rh 1.4242 -0.4543 5.2285
Pu 4.3534 4.2751 3.9299
Th 0.0000 0.0000 0.0000
Rh 4.6018 5.9171 1.4017
Rh 1.6298 2.6434 4.9472
Rh 4.3962 2.8195 1.6830
Pu 4.5646 1.4340 4.5743
Rh 0.2298 2.9689 -0.3817
```

volume: 21.079 A^3/atom
SG: P-1 (2)
energy of formation: -0.313 eV per atom
crystal system: triclinic

Material: PuThRh6
Method: DFT, PBE
State: relaxed

```
8
Lattice="-3.7137 0.1633 -1.7117 -1.6623 -1.3827 3.4746 -0.8755 7.6632 2.6307" Properties=species:S:1:pos:R:3 pbc="T T T"
Rh -2.0863 2.0898 -0.1665
Pu -0.4377 3.8316 1.3154
Rh -2.5029 5.7368 1.0855
Rh -3.1257 3.2219 2.1968
Th 0.0000 0.0000 0.0000
Rh -1.0606 1.3168 2.4267
Rh -2.6880 -0.6097 0.8815
Rh -1.4772 4.9638 3.6787
```

volume: 17.061 A^3/atom
SG: P4/mmm (123)
energy of formation: -0.557 eV per atom
crystal system: tetragonal

Material: Pu2TiRh
Method: DFT, PBE
State: relaxed

```
4
Lattice="3.3067 0.0000 0.0000 0.0000 4.9542 0.0000 0.0000 0.0000 4.9542" Properties=species:S:1:pos:R:3 pbc="T T T"
Ti 1.6533 0.0000 0.0000
Pu 0.0000 2.4771 0.0000
Rh 1.6533 2.4771 2.4771
Pu 0.0000 0.0000 2.4771
```

volume: 20.290 A^3/atom
SG: P4/mmm (123)
energy of formation: -0.058 eV per atom
crystal system: tetragonal

Material: Pu5TlRh4
Method: DFT, PBE
State: relaxed

```
10
Lattice="-0.2490 -1.7372 -2.8987 1.9799 -2.4305 1.2865 -15.1970 -8.8739 6.6233" Properties=species:S:1:pos:R:3 pbc="T T T"
Rh -9.0048 -5.2581 3.9245
Rh -6.1922 -3.6158 2.6987
Pu -1.1311 -3.2497 0.0641
Rh -11.7885 -6.8836 5.1378
Rh -3.4085 -1.9903 1.4855
Pu -12.3349 -9.7919 4.9470
Pu -9.5350 -8.1569 3.7267
Tl 0.0000 0.0000 0.0000
Pu -3.9310 -4.8846 1.2844
Pu -6.7330 -6.5208 2.5055
```

volume: 21.590 A^3/atom
SG: P4/mmm (123)
energy of formation: -0.357 eV per atom
crystal system: tetragonal

Material: Pu2TlRh6
Method: DFT, PBE
State: relaxed

```
9
Lattice="4.4216 0.0000 -0.1723 0.0000 7.4698 0.0000 -2.0157 -3.7349 5.0941" Properties=species:S:1:pos:R:3 pbc="T T T"
Rh 0.0655 2.2501 1.6799
Tl 0.0000 0.0000 0.0000
Rh 2.2108 5.6403 -0.0861
Pu 2.2789 3.7349 1.6630
Rh 0.0655 5.2197 1.6799
Rh 2.3404 -1.4848 3.2419
Rh 2.3404 1.4848 3.2419
Pu 0.1271 0.0000 3.2587
Rh 2.2108 1.8295 -0.0861
```

volume: 18.406 A^3/atom
SG: Immm (71)
energy of formation: 0.160 eV per atom
crystal system: orthorhombic

Material: Pu5TlRh6
Method: DFT, PBE
State: relaxed

```
12
Lattice="-4.6186 0.5863 -1.0168 0.3675 -5.1194 -4.6214 -4.0435 -4.4653 4.6249" Properties=species:S:1:pos:R:3 pbc="T T T"
Rh -3.3702 -4.1135 1.7695
Rh -2.0372 -3.4967 -3.9295
- - -
-- Reply --
Material: Pu5ThRh6
Method: DFT, PBE
State: relaxed

```
12
Lattice="4.6574 0.0158 -1.3604 -0.9473 6.0960 -3.1743 -0.0696 0.4441 8.4515" Properties=species:S:1:pos:R:3 pbc="T T T"
Rh 2.0967 1.5018 -1.4572
Rh 3.2785 3.8715 2.6300
Pu -0.4737 3.0480 -1.5872
Pu 0.6960 5.3392 2.4609
Rh 0.3619 2.6844 1.2867
Pu 2.9444 1.2167 1.4558
Rh 1.5437 5.0541 5.3740
Pu 1.2022 2.3545 4.1601
Rh 3.7562 0.7971 4.2306
Rh -0.1158 5.7588 -0.3139
Th 0.0000 0.0000 0.0000
Pu 2.4382 4.2014 -0.2433
```

volume: 20.553 A^3/atom
SG: C2/m (12)
energy of formation: -0.481 eV per atom
crystal system: monoclinic

Material: PuThRh
Method: DFT, PBE
State: relaxed

```
12
Lattice="3.7716 0.0000 0.0000 0.0000 5.6346 0.0000 0.0000 0.0000 12.9376" Properties=species:S:1:pos:R:3 pbc="T T T"
Rh 0.9429 1.2472 3.2114
Pu 2.8287 0.0965 7.1545
Rh 2.8287 1.5701 9.6802
Pu 0.9429 2.7208 0.6857
Rh 2.8287 4.3874 9.7262
Th 2.8287 5.4550 1.6736
Th 0.9429 0.1796 11.2640
Pu 0.9429 5.5380 5.7831
Pu 2.8287 2.9138 12.2519
Th 2.8287 2.6377 4.7952
Th 0.9429 2.9969 8.1424
Rh 0.9429 4.0645 3.2574
```

volume: 22.912 A^3/atom
relative energy among the computed polymorphs: 0.116 eV per formula unit
SG: Pnma (62)
energy of formation: -0.326 eV per atom
crystal system: orthorhombic

Material: Pu6ThRh5
Method: DFT, PBE
State: relaxed

```
12
Lattice="5.5745 0.4591 -0.4133 0.4595 5.9377 -0.7634 -0.0080 -0.9340 7.8069" Properties=species:S:1:pos:R:3 pbc="T T T"
Pu 1.6726 1.1877 2.7003
Pu 2.7855 0.8723 7.2916
Pu 1.4613 4.0289 2.0559
Pu 3.2405 4.5905 -0.6614
Rh 1.4242 -0.4543 5.2285
Pu 4.3534 4.2751 3.9299
Th 0.0000 0.0000 0.0000
Rh 4.6018 5.9171 1.4017
Rh 1.6298 2.6434 4.9472
Rh 4.3962 2.8195 1.6830
Pu 4.5646 1.4340 4.5743
Rh 0.2298 2.9689 -0.3817
```

volume: 21.079 A^3/atom
SG: P-1 (2)
energy of formation: -0.313 eV per atom
crystal system: triclinic

Material: PuThRh6
Method: DFT, PBE
State: relaxed

```
8
Lattice="-3.7137 0.1633 -1.7117 -1.6623 -1.3827 3.4746 -0.8755 7.6632 2.6307" Properties=species:S:1:pos:R:3 pbc="T T T"
Rh -2.0863 2.0898 -0.1665
Pu -0.4377 3.8316 1.3154
Rh -2.5029 5.7368 1.0855
Rh -3.1257 3.2219 2.1968
Th 0.0000 0.0000 0.0000
Rh -1.0606 1.3168 2.4267
Rh -2.6880 -0.6097 0.8815
Rh -1.4772 4.9638 3.6787
```

volume: 17.061 A^3/atom
SG: P4/mmm (123)
energy of formation: -0.557 eV per atom
crystal system: tetragonal

Material: Pu2TiRh
Method: DFT, PBE
State: relaxed

```
4
Lattice="3.3067 0.0000 0.0000 0.0000 4.9542 0.0000 0.0000 0.0000 4.9542" Properties=species:S:1:pos:R:3 pbc="T T T"
Ti 1.6533 0.0000 0.0000
Pu 0.0000 2.4771 0.0000
Rh 1.6533 2.4771 2.4771
Pu 0.0000 0.0000 2.4771
```

volume: 20.290 A^3/atom
SG: P4/mmm (123)
energy of formation: -0.058 eV per atom
crystal system: tetragonal

Material: Pu5TlRh4
Method: DFT, PBE
State: relaxed

```
10
Lattice="-0.2490 -1.7372 -2.8987 1.9799 -2.4305 1.2865 -15.1970 -8.8739 6.6233" Properties=species:S:1:pos:R:3 pbc="T T T"
Rh -9.0048 -5.2581 3.9245
Rh -6.1922 -3.6158 2.6987
Pu -1.1311 -3.2497 0.0641
Rh -11.7885 -6.8836 5.1378
Rh -3.4085 -1.9903 1.4855
Pu -12.3349 -9.7919 4.9470
Pu -9.5350 -8.1569 3.7267
Tl 0.0000 0.0000 0.0000
Pu -3.9310 -4.8846 1.2844
Pu -6.7330 -6.5208 2.5055
```

volume: 21.590 A^3/atom
SG: P4/mmm (123)
energy of formation: -0.357 eV per atom
crystal system: tetragonal

Material: Pu2TlRh6
Method: DFT, PBE
State: relaxed

```
9
Lattice="4.4216 0.0000 -0.1723 0.0000 7.4698 0.0000 -2.0157 -3.7349 5.0941" Properties=species:S:1:pos:R:3 pbc="T T T"
Rh 0.0655 2.2501 1.6799
Tl 0.0000 0.0000 0.0000
Rh 2.2108 5.6403 -0.0861
Pu 2.2789 3.7349 1.6630
Rh 0.0655 5.2197 1.6799
Rh 2.3404 -1.4848 3.2419
Rh 2.3404 1.4848 3.2419
Pu 0.1271 0.0000 3.2587
Rh 2.2108 1.8295 -0.0861
```

volume: 18.406 A^3/atom
SG: Immm (71)
energy of formation: 0.160 eV per atom
crystal system: orthorhombic

Material: Pu5TlRh6
Method: DFT, PBE
State: relaxed

```
12
Lattice="-4.6186 0.5863 -1.0168 0.3675 -5.1194 -4.6214 -4.0435 -4.4653 4.6249" Properties=species:S:1:pos:R:3 pbc="T T T"
Rh -3.3702 -4.1135 1.7695
Rh -2.0372 -3.4967 -3.9295